Request:
Set down the whole of the data further below unchanged, please.

Given:
┌──
Al2OsPt (PBE-GGA, relaxed); raw total energy = -6.6437 eV/atom; energy of formation = -0.45 eV per atom; space group = I-4m2; magnetic moment = 0.000 μB per cell
1.0
-1.841 1.841 4.270
1.841 -1.841 4.270
1.841 1.841 -4.270
Al Os Pt
2 1 1
Direct
0.000 0.000 0.000 Al
0.750 0.250 0.500 Al
0.250 0.750 0.500 Os
0.500 0.500 0.000 Pt

~~~~~

# YTm6Sc3 PBE relaxed
data_YTm6Sc3
_space_group_name_H-M_alt 'P 1'
_space_group_IT_number 1
_space_group_name_Hall 'P 1'
_cell_length_a 6.169
_cell_length_b 11.101
_cell_length_c 11.101
_cell_angle_alpha 130.59
_cell_angle_beta 90.00
_cell_angle_gamma 90.00
loop_
_atom_site_label
_atom_site_fract_x
_atom_site_fract_y
_atom_site_fract_z
Tm1 0.579 0.263 0.377
Tm2 0.079 0.377 0.263
Tm3 0.579 0.623 0.737
Tm4 0.789 0.304 0.696
Tm5 0.079 0.737 0.623
Tm6 0.827 0.896 0.459
Tm7 0.795 0.014 0.986
Tm8 0.827 0.541 0.104
Tm9 0.289 0.696 0.304
Tm10 0.295 0.986 0.014
Tm11 0.327 0.459 0.896
Tm12 0.327 0.104 0.541
Sc1 0.603 0.583 0.417
Sc2 0.487 0.295 0.042
Sc3 0.987 0.042 0.295
Sc4 0.987 0.705 0.958
Sc5 0.487 0.958 0.705
Sc6 0.103 0.417 0.583
Y1 0.513 0.841 0.159
Y2 0.013 0.159 0.841
# - DFT formation energy (meV/atom) = 126
# - Fermi-level density of states (states/eV per cell) = 30.005
# - total magnetization (μB per formula unit) = 0.00
# - uncorrected energy (eV for the cell shown) = -102.1
# - space group = Cmc2_1, No. 36
# - energy above the lowest structure with this stoichiometry (eV per atom) = 0.0000
└──

Written answer:
Al2OsPt (PBE-GGA, relaxed); raw total energy = -6.6437 eV/atom; energy of formation = -0.45 eV per atom; space group = I-4m2; magnetic moment = 0.000 μB per cell
1.0
-1.841 1.841 4.270
1.841 -1.841 4.270
1.841 1.841 -4.270
Al Os Pt
2 1 1
Direct
0.000 0.000 0.000 Al
0.750 0.250 0.500 Al
0.250 0.750 0.500 Os
0.500 0.500 0.000 Pt

~~~~~

# YTm6Sc3 PBE relaxed
data_YTm6Sc3
_space_group_name_H-M_alt 'P 1'
_space_group_IT_number 1
_space_group_name_Hall 'P 1'
_cell_length_a 6.169
_cell_length_b 11.101
_cell_length_c 11.101
_cell_angle_alpha 130.59
_cell_angle_beta 90.00
_cell_angle_gamma 90.00
loop_
_atom_site_label
_atom_site_fract_x
_atom_site_fract_y
_atom_site_fract_z
Tm1 0.579 0.263 0.377
Tm2 0.079 0.377 0.263
Tm3 0.579 0.623 0.737
Tm4 0.789 0.304 0.696
Tm5 0.079 0.737 0.623
Tm6 0.827 0.896 0.459
Tm7 0.795 0.014 0.986
Tm8 0.827 0.541 0.104
Tm9 0.289 0.696 0.304
Tm10 0.295 0.986 0.014
Tm11 0.327 0.459 0.896
Tm12 0.327 0.104 0.541
Sc1 0.603 0.583 0.417
Sc2 0.487 0.295 0.042
Sc3 0.987 0.042 0.295
Sc4 0.987 0.705 0.958
Sc5 0.487 0.958 0.705
Sc6 0.103 0.417 0.583
Y1 0.513 0.841 0.159
Y2 0.013 0.159 0.841
# - DFT formation energy (meV/atom) = 126
# - Fermi-level density of states (states/eV per cell) = 30.005
# - total magnetization (μB per formula unit) = 0.00
# - uncorrected energy (eV for the cell shown) = -102.1
# - space group = Cmc2_1, No. 36
# - energy above the lowest structure with this stoichiometry (eV per atom) = 0.0000